Entries:
# 1
Diffraction record for Sr10Mg5Mo2W3O30. The XRD peak list is theoretical, not measured: it uses a DFT-relaxed cell (PBE+U, the Materials Project) and a wavelength of 1.5418 Å.
Kinematic intensities with the Lorentz-polarization factor, no thermal factor.

Cell and atoms:
Cell: 5.650 5.661 20.507 Å, 82.31 82.10 89.89°
Space group P-1 (No. 2)
Inequivalent atoms, fractional coordinates:
Sr: 0.049 0.049 0.400
Sr: 0.151 0.151 0.199
Sr: 0.249 0.249 0.000
Sr: 0.351 0.351 0.801
Sr: 0.449 0.449 0.600
Mg: 0.000 0.500 0.500
Mg: 0.200 0.700 0.100
Mg: 0.400 0.900 0.700
Mo: 0.300 0.800 0.900
W: 0.100 0.600 0.300
W: 0.500 0.000 0.500
O: 0.027 0.591 0.899
O: 0.036 0.565 0.397
O: 0.092 0.075 0.895
O: 0.108 0.124 0.705
O: 0.163 0.635 0.203
O: 0.174 0.609 0.701
O: 0.226 0.791 0.499
O: 0.237 0.765 0.997
O: 0.292 0.276 0.495
O: 0.308 0.324 0.305
O: 0.363 0.835 0.804
O: 0.374 0.809 0.301
O: 0.427 0.991 0.099
O: 0.437 0.965 0.597
O: 0.492 0.475 0.095

Main lines, in order of rising 2θ (10° ≤ 2θ ≤ 90°):
| hkl | d [Å] | 2theta | intensity |
| --- | --- | --- | --- |
| 0 1 -2 | 4.628 | 19.18 | 54 |
| 1 -1 5 | 2.842 | 31.48 | 49 |
| 2 0 1 | 2.830 | 31.61 | 100 |
| 1 0 -7 | 2.426 | 37.06 | 7 |
| 1 -2 2 | 2.417 | 37.20 | 11 |
| 2 1 4 | 2.411 | 37.30 | 11 |
| 0 0 10 | 2.013 | 45.04 | 18 |
| 2 2 2 | 2.000 | 45.35 | 33 |
| 1 -3 4 | 1.639 | 56.13 | 21 |
| 3 1 -3 | 1.636 | 56.23 | 10 |
| -1 3 6 | 1.633 | 56.35 | 25 |
| 2 2 12 | 1.416 | 65.98 | 15 |



# 2
Diffraction record for MgTeWO6. The XRD peak list is theoretical, not measured: it uses a DFT-relaxed cell (PBE+U, the Materials Project) and a wavelength of 1.5418 Å.
Kinematic intensities with the Lorentz-polarization factor, no thermal factor.

Cell and atoms:
Cell: 5.297 5.297 6.031 Å, 115.88 90.09 119.96°
Space group P1 (No. 1)
Inequivalent atoms, fractional coordinates:
Mg: 0.000 0.000 0.000
Te: 0.787 0.572 0.360
W: 0.307 0.612 0.918
O: 0.065 0.478 0.181
O: 0.195 0.176 0.757
O: 0.414 0.116 0.181
O: 0.582 0.777 0.757
O: 0.702 0.768 0.182
O: 0.981 0.564 0.759

Main lines, in order of rising 2θ (10° ≤ 2θ ≤ 90°):
| hkl | d [Å] | 2theta | intensity |
| --- | --- | --- | --- |
| 0 0 1 | 5.207 | 17.03 | 12 |
| 1 0 -1 | 3.956 | 22.47 | 100 |
| 0 1 -2 | 2.974 | 30.05 | 49 |
| 2 -1 0 | 2.649 | 33.84 | 33 |
| 1 -2 0 | 2.361 | 38.11 | 8 |
| 0 2 -2 | 2.201 | 41.00 | 15 |
| 2 0 -2 | 1.979 | 45.84 | 12 |
| -1 2 1 | 1.859 | 49.00 | 14 |
| 1 1 -3 | 1.855 | 49.12 | 15 |
| 1 2 -1 | 1.693 | 54.17 | 14 |
| 2 -3 0 | 1.585 | 58.20 | 14 |
| 3 0 -1 | 1.529 | 60.54 | 12 |

* * * * *

Record 1
Diffraction record for KZn4Sn4. The XRD peak list is simulated, not measured: it uses a crystal structure in Alexandria, relaxed with GGA-PBE and Cu Kα.
Neutral-atom scattering factors, no anomalous dispersion.

Most intense lines, 2θ from 10° to 90°, most intense first:
d (Å), I (rel.)
2.096, 1000
2.883, 995
2.759, 851
6.446, 787
1.543, 433
2.149, 420
2.279, 375
4.558, 301
1.757, 277
3.333, 208

```
KZn4Sn4
1.0
9.116 0.000 0.000
0.000 9.116 0.000
0.000 0.000 5.789
K Zn Sn
2 8 8
Direct
0.250 0.250 0.250 K
0.750 0.750 0.750 K
0.080 0.911 0.124 Zn
0.089 0.580 0.624 Zn
0.411 0.920 0.624 Zn
0.420 0.589 0.124 Zn
0.580 0.411 0.876 Zn
0.589 0.080 0.376 Zn
0.911 0.420 0.376 Zn
0.920 0.089 0.876 Zn
0.106 0.610 0.126 Sn
0.110 0.894 0.626 Sn
0.390 0.606 0.626 Sn
0.394 0.890 0.126 Sn
0.606 0.110 0.874 Sn
0.610 0.394 0.374 Sn
0.890 0.106 0.374 Sn
0.894 0.390 0.874 Sn
```

***

Record 2
Diffraction record for KSr4. The XRD peak list is simulated, not measured: it uses a crystal structure in Alexandria, relaxed with GGA-PBE and Cu Kα.
Neutral-atom scattering factors, no anomalous dispersion.

Most intense lines, 2θ from 10° to 90°, most intense first:
d (Å), I (rel.)
3.398, 1000
3.449, 264
3.509, 259
1.981, 214
2.460, 197
2.004, 194
1.548, 129
1.699, 125
1.942, 102
1.953, 98

```
KSr4
1.0
0.000 3.449 17.546
2.350 0.000 17.546
2.350 3.449 0.000
K Sr
1 4
Direct
0.000 0.000 0.000 K
0.202 0.202 0.798 Sr
0.394 0.394 0.606 Sr
0.606 0.606 0.394 Sr

Exercise:
Search the lines earlier on for the word "XRD" and give back each line that has it.

Reply:
Diffraction record for Sr10Mg5Mo2W3O30. The XRD peak list is theoretical, not measured: it uses a DFT-relaxed cell (PBE+U, the Materials Project) and a wavelength of 1.5418 Å.
Diffraction record for MgTeWO6. The XRD peak list is theoretical, not measured: it uses a DFT-relaxed cell (PBE+U, the Materials Project) and a wavelength of 1.5418 Å.
Diffraction record for KZn4Sn4. The XRD peak list is simulated, not measured: it uses a crystal structure in Alexandria, relaxed with GGA-PBE and Cu Kα.
Diffraction record for KSr4. The XRD peak list is simulated, not measured: it uses a crystal structure in Alexandria, relaxed with GGA-PBE and Cu Kα.